2,014 search results for “privacy en bescherming van persoonlijke gegevens” in the Public website
Honours Class makes cultural heritage tangible: ‘You are dealing with people’
An Honours Class about the ostensibly unrecognisable worlds of insular Southeast Asia teaches students a fundamental piece of wisdom:
Platform Thingsthattalk brings together historical objects
Using the motto 'Exploring humanities through the life of objects' the Thingsthattalk platform gives a voice to historical objects that are usually kept behind closed doors. Objects from various Leiden collections are going to be made public and placed within a historical and user context.
Why do we always have room for pudding?
# Inserted here: quantum chemistry results
/*
Entry 1:
Below is a molecular structure, C6H18AlFO3, with properties calculated with wB97M-V/def2-TZVPD.

Structure (XYZ):
```
29
C6H18AlFO3 (wB97M-V/def2-TZVPD)
Al 0.06118 1.78450 -0.01298
F 2.14433 2.12971 0.33170
C 0.74285 -1.78450 1.70488
C 0.97580 -0.94380 0.43700
O 0.58225 0.37450 0.61675
H 0.12134 -2.62762 1.40326
H 0.21701 -1.34697 2.55350
H 1.67257 -2.21415 2.07789
H 0.50223 -1.46374 -0.39576
H 2.03176 -0.95018 0.16682
H 0.63473 0.64023 1.53775
C 2.39825 0.59055 -1.18570
C 1.31066 -0.21374 -1.89255
O 0.05159 0.39537 -1.51410
H 2.36476 1.64501 -1.45974
H 3.41707 0.30264 -1.44497
H 2.42096 0.48532 -0.10103
H 1.40802 -1.25887 -1.59873
H 1.57259 0.07031 -2.91176
H -0.62478 0.09080 -2.12350
C -3.33925 -0.11126 0.10718
C -2.37821 1.09073 0.37475
O -1.13481 0.80116 1.02440
H -2.90341 -0.71976 -0.68518
H -4.33746 0.18263 -0.21731
H -3.25000 -0.76637 0.97377
H -2.93531 1.82134 0.96125
H -2.33867 1.70281 -0.52630
H -1.38795 0.29339 1.79880
```

The HOMO-LUMO gap is 6.45 eV. The value obtained for the total energy is -21945.701 eV. The HOMO energy is -0.6628 Ha. As for the total charge: +2. The calculation puts the molecular weight at 184.187 Da. For the energy above the lowest of the compared OMol25 structures with the same formula, charge and spin, the calculation gives 44.5 kcal/mol.

Mulliken population analysis, charges in e, atoms 1 to 2:
1 Al 0.388
2 F -0.504

---

Entry 2:
Below is 3 unconnected molecules or ions with the total composition C3H10O3, with properties calculated with wB97M-V/def2-TZVPD.

Structure (XYZ):
```
16
C3H10O3 (wB97M-V/def2-TZVPD)
C -2.95752 0.07140 0.28296
C -1.90159 -1.02326 0.34329
C -1.56685 -1.70461 -0.73535
O -0.53645 -2.61835 -0.75705
H -2.60066 1.07872 0.27973
H -3.51560 -0.20069 -0.61645
H -3.63619 -0.07537 1.10822
H -1.43788 -1.16118 1.31255
H -2.13632 -1.61854 -1.65555
H 0.13343 -2.35029 -1.39188
O 1.57086 2.99076 -0.34838
H 1.04413 2.95620 0.45798
H 1.33988 2.17470 -0.79760
O 5.34568 0.77610 1.09395
H 6.13616 0.23803 0.98533
H 4.71892 0.46638 0.43828
```

The HOMO-LUMO gap is 9.62 eV. The SMILES is C/C=C/O.O.O. The value obtained for the total energy is -9414.391 eV. The HOMO energy is -0.3426 Ha. The calculation puts the molecular weight at 94.110 Da. For the energy above the lowest of the compared OMol25 structures with the same formula, charge and spin, the calculation gives 26.3 kcal/mol.

Mulliken population analysis, charges in e, atoms 1 to 2:
1 C -0.977
2 C 0.025

---

Entry 3:
Below is 2 unconnected molecules or ions with the total composition C30H63FN2O5, with properties calculated with wB97M-V/def2-TZVPD.

Structure (XYZ):
```
101
C30H63FN2O5 (wB97M-V/def2-TZVPD)
C 3.28935 0.31504 3.22107
C 2.50475 1.69165 3.09827
C 3.47065 2.91868 2.87889
C 2.87985 3.98537 1.86952
C 2.70455 3.42933 0.41422
C 4.04531 3.11435 -0.33570
C 4.73995 1.75498 0.09005
C 5.08086 0.86335 -1.15247
C 5.76973 -0.47726 -0.68238
C 4.77452 -1.64629 -0.38752
C 4.06464 -2.24576 -1.66555
C 3.06429 -3.39261 -1.17765
*/
# The quantum chemistry results stop here
In De Kookshow, Universiteit Van Nederland explores the scientific world behind food. Ever wondered which senses influence how tasty you find something? And why do you always have room for pudding after a meal? Leiden historian Kim Beerden is among the scholars providing answers.
‘You learn so much more than during your studies’
Graduates Bruno and Plym took part in the National Think Tank last year. Together with 20 other students and recent graduates, they spent four months pondering the future of our digital society. ‘You learn so much in the space of four months, not just practical skills but also about yourself.’
Lecture by Harry van der Hulst
SAILS Lunch Time Seminar Jan van Rijn
Shaping innate immune responses: mechanisms that control type I interferon production
PhD defence
Guest lecture by Wojciech Wiewiórowski, European Data Protection Supervisor
On Thursday 29 February, the European Data Protection Supervisor, Wojciech Wiewiórowski, visited the eLaw Center for Law and Digital Technologies at Leiden Law School to give a lecture entitled 'Fundamental rights and/or market surveillance: The current and future role of Data Protection Authorities…
The SyRI Judgment: A conversation with Jelle Klaas, litigation director of NJCM and plaintiff’s attorney
The District Court of The Hague announced its judgment on 5 February in the case of SyRI (Systeem Risico Indicatie). Two writers, Privacy rights groups, civil rights lawyers and the largest national labour union had rallied to fight this controversial surveillance system, created and used by the Dutch…
AI Policy Leaders Academia Award for Gianclaudio Malgieri
Dr Gianclaudio Malgieri, Associate Professor of Law at eLaw, will receive the AI Policy Leaders Academia Award from CAIDP Europe (Center for AI and Digital Policy Europe) alongside Professor Alessandro Mantelero from the Politecnico di Torino. The award is 'for their collective call on EU policymakers…
Should the VOG screening process be extended to include administrative fines?
Research shows that including administrative fines in the screening process for a Certificate of Conduct (in Dutch: VOG) is not currently feasible.
‘Making wearing face masks mandatory violates constitutional rights'
The Dutch government will be unable to make wearing face masks mandatory in public spaces in the short term, according to three constitutional and administrative law experts in NRC newspaper, including Wim Voermans.
eLaw at CPDP2019
The twelfth annual conference on Computers, Privacy and Data Protection (CPDP2019) took place in Brussels from Jan. 30 until Feb. 1, 2019. Leiden Law School’s Center for Law and Digital Technologies (eLaw) was represented in two different panels at the conference this year.
Wim Voermans: 'Employers can’t just request a coronavirus entry pass'
The introduction of a compulsory coronavirus entry pass in the workplace is currently being considered behind the scenes. Dutch Minister of Health Hugo de Jonge spoke about this at the press conference on Tuesday 2 November. But such a measure is not without problems.
Sign up for the Opening of the Academic Year on 2 September
The Opening of the Academic Year 2024 will be held in Pieterskerk on Monday 2 September. This year’s theme is ‘Science for Policy’. Students, staff and anyone else who is interested are welcome.
New paper on: 'Legal Barriers and Enablers to Big Data Reuse: A Critical Assessment of the Challenges for the EU Law'
eLaw colleagues Bart Custers and Helena Ursic have a new publication in the peer-reviewed journal The European Data Protection Law Review.
Paul Abels on the ‘dragnet law’
There was a lot of fuss last week about the ‘dragnet law’, in which intelligence services are now authorised to conduct large-scale tapping of cable communications. The public image here is that the privacy of innocent citizens will almost certainly be violated. Paul Abels, professor of governance of…
Minister Beljaarts wil 300 miljoen investeren in kunstmatige intelligentie
_Someone pasted calculated molecules at this point_
........
[1]
Entry from OMol25: a cluster of 4 separate species, C29H64NO2S in total at a distorted geometry (the ωB97M-V functional and the def2-TZVPD basis).

Each line ends with the Mulliken spin population.
Atoms and positions in Å:
1 C -0.91 0.04 -1.31  0.010
2 C 0.16 -1.11 -1.39  -0.002
3 O 1.21 -0.78 -0.48  0.001
4 C 1.73 -1.89 0.23  -0.004
5 S 2.41 -3.09 -1.03  0.001
6 C 0.73 -2.58 1.21  0.011
7 C 0.37 -1.74 2.49  0.020
8 C 0.55 -2.62 3.78  0.012
9 C -1.19 -1.46 2.42  0.002
10 N 1.03 -0.43 2.59  0.364
11 O 0.40 0.51 1.98  0.555
12 C 2.47 -0.46 2.32  0.026
13 C 3.34 -0.83 3.57  0.004
14 C 2.89 1.03 1.97  -0.012
15 C 2.92 -1.33 1.09  0.017
16 H -1.83 -0.28 -0.77  -0.002
17 H -0.52 0.91 -0.75  0.000
18 H -1.18 0.42 -2.32  0.000
19 H 0.59 -1.09 -2.41  0.001
20 H -0.32 -2.08 -1.20  -0.002
21 H 1.74 -4.26 -0.75  0.000
22 H 1.25 -3.50 1.57  -0.001
23 H -0.19 -2.95 0.71  0.002
24 H 0.40 -1.97 4.66  -0.009
25 H -0.26 -3.38 3.78  0.001
26 H 1.51 -3.17 3.80  -0.001
27 H -1.66 -2.46 2.49  -0.001
28 H -1.45 -1.09 1.40  0.006
29 H -1.53 -0.77 3.21  0.000
30 H 3.20 -0.05 4.35  -0.004
31 H 4.41 -0.73 3.26  0.001
32 H 3.15 -1.85 3.95  0.000
33 H 2.51 1.75 2.71  -0.002
34 H 4.00 1.04 1.94  -0.001
35 H 2.57 1.26 0.94  0.006
36 H 3.58 -0.74 0.44  0.002
37 H 3.52 -2.19 1.46  -0.001
38 C 0.03 -4.10 -3.89  0.000
39 C -1.40 -4.07 -3.36  0.000
40 C -1.62 -4.99 -2.16  0.000
41 C -1.40 -6.48 -2.44  0.000
42 C -2.26 -7.07 -3.56  0.000
43 C -3.75 -7.01 -3.27  0.000
44 H 0.30 -5.09 -4.26  0.000
45 H 0.13 -3.39 -4.72  0.000
46 H 0.73 -3.81 -3.11  0.000
47 H -2.10 -4.32 -4.17  0.000
48 H -1.65 -3.05 -3.06  0.000
49 H -2.64 -4.85 -1.78  0.000
50 H -0.95 -4.69 -1.35  0.000
51 H -1.59 -7.04 -1.52  0.000
52 H -0.34 -6.65 -2.68  0.000
53 H -1.97 -8.12 -3.70  0.000
54 H -2.04 -6.57 -4.51  0.000
55 H -3.99 -7.54 -2.35  0.000
56 H -4.32 -7.47 -4.09  0.000
57 H -4.10 -5.98 -3.17  0.000
58 C -8.01 2.42 -0.18  0.000
59 C -6.93 3.06 -1.04  0.000
60 C -5.98 2.04 -1.68  0.000
61 C -5.17 1.21 -0.69  0.000
62 C -4.30 2.01 0.28  0.000
63 C -3.23 2.84 -0.41  0.000
64 H -7.59 1.88 0.66  0.000
65 H -8.68 3.19 0.22  0.000
66 H -8.62 1.73 -0.77  0.000
67 H -6.37 3.79 -0.45  0.000
68 H -7.41 3.63 -1.85  0.000
69 H -5.30 2.57 -2.36  0.000
70 H -6.56 1.36 -2.31  0.000
71 H -4.53 0.52 -1.26  0.000
72 H -5.85 0.57 -0.11  0.000
73 H -3.81 1.31 0.97  0.000
74 H -4.92 2.66 0.90  0.000
75 H -2.57 2.20 -1.00  0.000
76 H -2.62 3.36 0.32  0.000
77 H -3.66 3.59 -1.08  0.000
78 C 4.47 4.51 -0.93  0.000
79 C 5.28 4.15 0.31  0.000
80 C 4.63 4.64 1.61  0.000
81 C 4.47 6.15 1.73  0.000
82 C 5.77 6.95 1.62  0.000
83 C 6.78 6.63 2.72  0.000
84 H 4.38 5.59 -1.06  0.000
85 H 4.96 4.11 -1.83  0.000
86 H 3.47 4.08 -0.88  0.000
87 H 6.29 4.56 0.22  0.000
88 H 5.38 3.07 0.36  0.000
89 H 5.21 4.26 2.45  0.000
90 H 3.64 4.18 1.70  0.000
91 H 4.01 6.37 2.70  0.000
92 H 3.77 6.51 0.97  0.000
93 H 5.53 8.02 1.67  0.000
94 H 6.23 6.79 0.64  0.000
95 H 6.36 6.82 3.70  0.000
96 H 7.67 7.24 2.61  0.000
97 H 7.10 5.58 2.68  0.000
........
_Here the text continues_
Nederland en Europa liggen ver achter op de VS in de AI-markt. Beljaarts doet de oproep dat Nederland een supercomputer moet bouwen, om zich stevig te kunnen positioneren. Reijer Passchier, universitair docent Staatsrecht en hoogleraar Digitalisering aan de OU, waarschuwt in EenVandaag voor de dominantie…
Radical steps needed to save Europe’s democratic rule of law from Big Tech
In an op-ed and an interview in Dutch newspaper ‘de Volkskrant’, Reijer Passchier, Assistant Professor in Constitutional Law at Leiden University and Professor of Digitalisation and the Democratic Constitutional State at the Open University, stresses that Europe needs to take radical steps to tackle…
SAILS Lunch Time Seminar: Niki van Stein
Nienke van der Marel on astrochemistry
Lecture, Kaiser Lente Lezing
SAILS Lunch Time Seminar: Rob van Nieuwpoort
SAILS Lunch Time Seminar: Matthijs van Leeuwen
SAILS Lunch Time Seminar: Marieke van Buchem
SAILS Lunch Time Seminar: Ben van Werkhoven
“De illusie van het politieke primaat” and “Can the centre hold? Over de robuustheid van de rijksoverheid”
Inaugural lecture
De Januskop van de inkomensongelijkheid in Nederland
Inaugural lecture
- Public graduation presentation, Sjoerd van Midden
Van Marum Colloquium: Ryuhei Nakamura & Hideshi Ooka
Over de grens van de onrechtmatige daad
PhD defence
- Seminar 2: Dievenland: De spelregels van een publieksboek
Opening of the Herta Mohr Building: brand new and also recycled location for Humanities
Light, open and green: a description that fits the new, renovated location of the Faculty of Humanities. The official opening of the Herta Mohr Building took place on 8 October, and it has many remarkable features: for example, recycled ‘mushroom columns’, a pedestrian bridge to the University Library…
Subsidy for development of tools for rheumatic diagnosis
Digital diagnostic tools should improve the diagnostic process of patients with musculoskeletal complaints, so that they can receive the right treatment more quickly.
First eLaw Conference: Law and/versus Technology
The first eLaw Conference held at Leiden University was a success and fostered timely discussions on the legal challenges and opportunities presented by digital technologies.
The Ethics Committee at Archaeology: ‘Think ahead before starting your research, that’s the point’
In the past decade many academic journals have started to require that researchers provide evidence of ethical review when submitting papers, for example when working with human participants or human remains.. In order to support researchers to ensure their projects are able to meet these expectations,…
Els de Busser receives NWO-funding for project in solving cyber security issues
Dr. Els de Busser, assistant professor and researcher at the Institute of Security and Global Affairs, as principal investigator of a consortia, has been awarded 1.45 million euros for a project called C-SIDe.
Mythes rondom de geheime diensten ontkracht
In haar boek ‘Diensten met geheimen’ vertelt Willemijn Aerdts hoe de AIVD en MIVD te werk gaan. En ontkracht ze ook een paar mythes.
‘A handful of companies can't be allowed to dominate the market’
European Commissioner for Competition, Margrethe Vestager, gave a warning in the Europa Lecture on 14 June about large companies that abuse their power. 'An honest society begins with honest markets.'
Three quantum-safe cryptography methods standardised for global use
Three quantum-safe cryptography methods have been standardised for worldwide use since this week. Léo Ducas co-designed the two primary PQC methods selected for this standardisation. Ducas is part of the Cryptology group at Centrum Wiskunde & Informatica (CWI) and is also professor of Mathematical cryptology…
Prince Constantijn: research on big data urgently needed
Policy makers urgently need scientists’ help with the phenomenon of big data. This was the view expressed by Prince Constantijn, speaking at the opening of the Leiden Centre of Data Science, the virtual centre for research on big data at Leiden University.
'Why aren't those children at school?'
The new privacy laws make it more difficult to combat human trafficking: under-age victims are often not registered. In her lecture, Cleveringa Professor Corinne Dettmeijer called on everyone to be on the alert. 'We don't want to live in a society where people are treated as throw-away objects.'
Educating the youth of today to solve the challenges of tomorrow
In collaboration with the Honours Academy at Leiden University, Eduard Fosch-Villaronga and Hadassah Drukarch from eLaw - Center for Law and Digital Technologies, coordinated a Pre-University Class on Robot Law.
The Facebook scandal: guidance and tips
Facebook is under attack due to the scandal with Cambridge Analytica: Data of tens of millions of users have been leaked. Does this mean the end of Facebook? ‘The storm will pass,’ says security expert Erik van der Kouwe. He provides tips on how to keep Facebook from following your every move.
LUBEC treatment centre: bridge between support and research
From anxiety disorders to an extremely unhealthy lifestyle. In the Leiden University Treatment and Expertise Centre (LUBEC) children and adults receive treatment that is in line with the newest scientific insights. The centre is also a training and research institution, so students and researchers are…
How AI and wearable technology help create more inclusive environments for children
Can we reshape school playgrounds through data and design? By using AI and wearable sensors, data scientist Maedeh Nasri discovered ways to create environments where children, including those with ADHD and autism, can connect, play, and grow.
Toetsing van deskundigenadviezen door de bestuursrechter
PhD defence
- Book presentation Oort Biography - Piet van der Kruit
A Nimble Arc: James Van Der Zee and Photography
Lecture, Talk
Ingrid Leijten on radio about freedom of expression
On 12 November Ingrid Leijten was a guest on Dutch NOS NPO Radio 1 programme Met het Oog op Morgen. She was asked to speak about the right to freedom of expression.
Humane Genetica, in het bijzonder translationele studies van neurodegeneratieve aandoeningen
Inaugural lecture